Chapter 21 Summary
Unrelated to this piece: materials data.
/*
1.
Computed, not measured: a geometry-optimized CaIn2Re structure at the PBE level of DFT.

Output
* magnetic moment: 0.000 μB per atom
* energy: -4.58 eV per atom
* ΔH_f (0 K): 0.40 eV per atom

Structure (CIF):
```
data_CaIn2Re
_chemical_formula_sum 'Ca1 In2 Re1'
_space_group_name_H-M_alt 'P 4 m m'
_space_group_IT_number 99
_cell_length_a 3.5618
_cell_length_b 3.5618
_cell_length_c 7.4794
_cell_angle_alpha 90.00
_cell_angle_beta 90.00
_cell_angle_gamma 90.00
loop_
_space_group_symop_operation_xyz
'x,y,z'
'-y,x,z'
'-x,-y,z'
'y,-x,z'
'-x,y,z'
'y,x,z'
'x,-y,z'
'-y,-x,z'
loop_
_atom_site_label
_atom_site_fract_x
_atom_site_fract_y
_atom_site_fract_z
_atom_site_occupancy
Ca1 0.0000 0.0000 0.0000 1
In1 0.0000 0.0000 0.5832 1
In2 0.5000 0.5000 0.3260 1
Re1 0.5000 0.5000 0.7276 1
```

2.
Computed, not measured: a geometry-optimized TaTi6Sn2 structure at the PBE level of DFT.

Output
* magnetic moment: 0.000 μB per atom
* energy: -7.51 eV per atom
* ΔH_f (0 K): -0.04 eV per atom

Structure (CIF):
```
data_TaTi6Sn2
_chemical_formula_sum 'Ta2 Ti12 Sn4'
_space_group_name_H-M_alt 'I m m m'
_space_group_IT_number 71
_space_group_name_Hall '-I 2 2'
_cell_length_a 4.7773
_cell_length_b 5.5556
_cell_length_c 12.6705
_cell_angle_alpha 90.00
_cell_angle_beta 90.00
_cell_angle_gamma 90.00
loop_
_atom_site_label
_atom_site_fract_x
_atom_site_fract_y
_atom_site_fract_z
_atom_site_occupancy
Ta1 0.0000 0.0000 0.0000 1
Ti1 0.0000 0.0000 0.2110 1
Ti2 0.0000 0.2700 0.3938 1
Sn1 0.0000 0.5000 0.1537 1
```


DFT (PBE-GGA) results for K2Be2SnO6 after structural relaxation.

```
K2Be2SnO6
1.0
2.755 1.591 5.962
-2.755 1.591 5.962
0.000 -3.181 5.962
K Be Sn O
2 2 1 6
Direct
0.206 0.206 0.206
0.794 0.794 0.794
0.400 0.400 0.400
0.600 0.600 0.600
0.000 0.000 0.000
0.244 0.244 0.724
0.244 0.724 0.244
0.276 0.756 0.756
0.724 0.244 0.244
0.756 0.276 0.756
0.756 0.756 0.276
```

Results
crystal system = trigonal
uncorrected formation energy = -1.702 eV per atom
symmetry = R-3m, No. 166

DFT (PBE-GGA) results for BaNaSr3 after structural relaxation.

```
BaNaSr3
1.0
10.709 0.000 0.000
0.000 4.216 0.000
-3.659 0.000 12.004
Ba Na Sr
2 2 6
Direct
0.120 0.250 0.158
0.880 0.750 0.842
0.278 0.750 0.463
0.722 0.250 0.537
0.101 0.250 0.648
0.314 0.750 0.937
0.499 0.250 0.722
0.501 0.750 0.278
0.686 0.250 0.063
0.899 0.750 0.352
```

Results
crystal system = monoclinic
energy relative to the elements = 0.19 eV per formula unit
distance to the lowest polymorph of the same formula = 0 meV per atom
symmetry = P2_1/m, No. 11

DFT (PBE-GGA) results for Li8SmO6 after structural relaxation.

```
Li8SmO6
1.0
2.842 1.641 5.488
-2.842 1.641 5.488
0.000 -3.282 5.488
Li Sm O
8 1 6
Direct
0.003 0.402 0.724
0.138 0.138 0.138
0.276 0.997 0.598
0.402 0.724 0.003
0.598 0.276 0.997
0.724 0.003 0.402
0.862 0.862 0.862
0.997 0.598 0.276
0.500 0.500 0.500
0.101 0.744 0.392
0.256 0.608 0.899
0.392 0.101 0.744
0.608 0.899 0.256
0.744 0.392 0.101
0.899 0.256 0.608
```

Results
crystal system = trigonal
*/
Facility Planning and Design
Chapter Author
Richard L. Miller - Earl Swensson Associates, Inc.
These records of crystals were left in the entry by mistake.
=====
Na3Np2O8: relaxed, PBE-GGA.

a = 6.6641 Å, b = 6.6641 Å, c = 5.5330 Å
α = 107.01°, β = 107.01°, γ = 53.23°
Closest atoms and distances in Å follow each position.
Fractional coordinates of all 13 atoms:
Na  0.0000  0.0000  0.0000  4 O 2.38
Na  0.2693  0.7307  0.5000  6 O 2.35-2.40
Na  0.7307  0.2693  0.5000  6 O 2.35-2.40
Np  0.2621  0.2621  0.8289  2 O 1.91-1.95
Np  0.7379  0.7379  0.1711  2 O 1.91-1.95
O  0.0995  0.6189  0.0877  2 Np 2.17-2.19, 2 Na 2.35-2.38
O  0.1470  0.1470  0.4838  1 Np 1.95
O  0.3814  0.3814  0.6682  1 Np 1.91
O  0.3811  0.9005  0.9123  2 Np 2.17-2.19, 2 Na 2.35-2.38
O  0.6189  0.0995  0.0877  2 Np 2.17-2.19, 2 Na 2.35-2.38
O  0.6186  0.6186  0.3318  1 Np 1.91
O  0.8530  0.8530  0.5162  1 Np 1.95
O  0.9005  0.3811  0.9123  2 Np 2.17-2.19, 2 Na 2.35-2.38

Values from the calculation:
Raw formation energy in meV/atom: -2210
ρ in g cm⁻³: 5.99
Fermi-level density of states in states/eV/cell: 6.07
Space-group type: C2/m, No. 12

---

NaNp3O9: relaxed, PBE-GGA.

a = 7.9944 Å, b = 7.9944 Å, c = 4.1492 Å
α = 90.00°, β = 90.00°, γ = 120.00°
Closest atoms and distances in Å follow each position.
Fractional coordinates of all 13 atoms:
Na  0.0000  0.0000  0.0000  12 O 3.52
Np  0.0000  0.5000  0.5000  6 O 2.07-2.09
Np  0.5000  0.0000  0.5000  6 O 2.07-2.09
Np  0.5000  0.5000  0.5000  6 O 2.07-2.09
O  0.0000  0.5000  0.0000  2 Np 2.07
O  0.2056  0.4113  0.5000  2 Np 2.09
O  0.2056  0.7944  0.5000  2 Np 2.09
O  0.4113  0.2056  0.5000  2 Np 2.09
O  0.5000  0.0000  0.0000  2 Np 2.07
O  0.5000  0.5000  0.0000  2 Np 2.07
O  0.5887  0.7944  0.5000  2 Np 2.09
O  0.7944  0.2056  0.5000  2 Np 2.09
O  0.7944  0.5887  0.5000  2 Np 2.09

Values from the calculation:
Raw formation energy in meV/atom: -2657
ρ in g cm⁻³: 6.35
Fermi-level density of states in states/eV/cell: 6.33
Space-group type: P6/mmm, No. 191

---

Na3NpO10: relaxed, PBE-GGA.

a = 5.7219 Å, b = 6.4204 Å, c = 6.4704 Å
α = 89.82°, β = 88.90°, γ = 66.30°
Closest atoms and distances in Å follow each position.
Fractional coordinates of all 14 atoms:
Na  0.0000  0.0000  0.0000  4 O 2.35-2.39
Na  0.1195  0.7138  0.4934  5 O 2.31-2.55
Na  0.8805  0.2862  0.5066  5 O 2.31-2.55
Np  0.5000  0.0000  0.5000  6 O 1.93-1.99
O  0.1973  0.5509  0.1016  1 O 1.24
O  0.2464  0.9930  0.2961  1 Np 1.99
O  0.2613  0.9523  0.7043  1 Np 1.99
O  0.2999  0.3232  0.5286  1 Np 1.93
O  0.3349  0.3664  0.0218  1 O 1.24
O  0.6651  0.6336  0.9782  1 O 1.24
O  0.7001  0.6768  0.4714  1 Np 1.93
O  0.7387  0.0477  0.2957  1 Np 1.99
O  0.7536  0.0070  0.7039  1 Np 1.99
O  0.8027  0.4491  0.8984  1 O 1.24

Values from the calculation:
Distance to the lowest polymorph of the same formula in meV per atom: 89
Raw formation energy in meV/atom: -1231
ρ in g cm⁻³: 3.56
Fermi-level density of states in states/eV/cell: 6.07
Space-group type: P-1, No. 2

---

NaNpO6: relaxed, PBE-GGA.

a = 6.0217 Å, b = 6.0217 Å, c = 6.0217 Å
α = 60.00°, β = 60.00°, γ = 60.00°
Closest atoms and distances in Å follow each position.
=====
Some Commentary
A quick chapter about hospital facility planning and design. From my experience, the best way to learn this is to be involved directly in the process.
1. Introduction
A sequence of facility planning:
Facility needs assessment: this is a pretty tricky project. The goal of the facility needs assessment is to understand where an organization is going, how it is growing, what the anticipated average length of stay will be, for how many patients, how many operating rooms, emergency room beds are needed, etc, etc. There are a lot of metrics to bring together when trying to understand the strategic future direction of the hospital and create something that aligns with a sustainable business plan.
Ultimately, this complex process is distilled down into a “space program”, or the “program”. The program is an itemized list of all the types of spaces required within the hospital, and the amount of space (eg square foot, number of offices, etc) each is required. This program allows architectures to understand what has to be built, and if they are on track to meet the needs of the facility owners.
Physical plant evaluation: this reviews the current physical plan, all its infrastructure systems, zoning, parking, etc, etc. The goal is to understand what changes to the physical plant are required to move towards the facility needs assessment.
Site evaluation: if a new site is required, site selection is required. Carefully weighing a new site’s cost, marketing visibility, the usable space the site has for patient accessed services such as parking, emergency room, and clinics; as well as back-of-house loading docks, helipads, and emergency vehicle parking.
Master facility plan deliverables: the above steps lead to a master facility plan and budget. This document can be worked on further by the primary architect or circulated for soliciting proposals from prospective architectural firms.
Misplaced records of crystals =
┌──
## A
Ta2BeTe after structural relaxation. Source: the Alexandria database, functional GGA-PBEsol.

```
4
Lattice="-1.8459 -2.6480 -0.1748 2.2892 -1.8422 3.7223 -2.3757 3.4762 2.3429" Properties=species:S:1:pos:R:3 pbc="T T T"
Be -0.9230 -1.3241 -0.0874
Te 1.1445 -0.9211 1.8611
Ta -1.1213 0.6516 1.9798
Ta -0.8114 -1.6658 3.9105
```

D(E_F) (states/eV/f.u.): 2.39
Volume (Å³ per cell): 68.8


## B
Ta2BeTe after structural relaxation. Source: the Alexandria database, functional GGA-PBEsol.

```
4
Lattice="-0.9406 -2.1936 -3.2978 3.8776 0.1808 -1.2262 0.7960 -3.3774 2.0194" Properties=species:S:1:pos:R:3 pbc="T T T"
Ta -0.4703 -1.0968 -1.6489
Be 0.3980 -1.6887 1.0097
Ta 1.9388 0.0904 -0.6131
Te 1.8665 -2.6951 -1.2523
```

D(E_F) (states/eV/f.u.): 2.91
Volume (Å³ per cell): 66.5


## C
Ta2BeTe after structural relaxation. Source: the Alexandria database, functional GGA-PBEsol.

```
4
Lattice="4.5647 0.0000 0.0000 2.2824 3.9532 0.0000 2.2824 1.3177 3.7271" Properties=species:S:1:pos:R:3 pbc="T T T"
Ta 6.8471 3.9532 2.7953
Be 4.5647 2.6354 1.8635
Ta 0.0000 0.0000 0.0000
Te 2.2824 1.3177 0.9318
```

D(E_F) (states/eV/f.u.): 3.54
Volume (Å³ per cell): 67.3


Quick one: most stable of them? A


## A
TaBeTl2 after structural relaxation. Source: the Alexandria database, functional GGA-PBEsol.

```
4
Lattice="-2.7322 -1.6889 3.5553 1.5755 -3.6145 2.7223 1.2384 0.7979 4.5593" Properties=species:S:1:pos:R:3 pbc="T T T"
Tl 0.0204 -1.1264 2.7092
Tl 0.0613 -3.3792 8.1277
Ta 0.0408 -2.2528 5.4184
Be 0.0000 0.0000 0.0000
```

D(E_F) (states/eV/f.u.): 3.46
Volume (Å³ per cell): 77.8


## B
TaBeTl2 after structural relaxation. Source: the Alexandria database, functional GGA-PBEsol.

```
4
Lattice="4.0217 0.0000 0.0000 0.0000 4.2900 0.0000 0.0000 0.0000 4.2900" Properties=species:S:1:pos:R:3 pbc="T T T"
Ta 2.0109 0.0000 0.0000
Be 2.0109 2.1450 2.1450
Tl 0.0000 2.1450 0.0000
Tl 0.0000 0.0000 2.1450
```

D(E_F) (states/eV/f.u.): 2.38
Volume (Å³ per cell): 74.0


Quick one: most stable of them? B

----------

Entry 1:
First-principles (PBE) data for a geometry-optimized LiAgRu2 structure, as listed in Alexandria via LeMat-Bulk.

```
LiAgRu2
1.0
2.660 -0.032 0.000
-1.233 2.358 0.000
0.000 0.000 9.608
Li Ag Ru
1 1 2
direct
0.500 0.500 0.750 Li
0.500 0.500 0.250 Ag
0.000 0.000 0.511 Ru
0.000 0.000 0.989 Ru
```

Calculated values
Its total energy is -5.3953 eV per atom. The crystal system is orthorhombic.



Entry 2:
First-principles (PBE) data for a geometry-optimized Pm4Y5Tm2 structure, as listed in Alexandria via LeMat-Bulk.

```
Pm4Y5Tm2
1.0
3.506 0.000 0.000
0.000 8.970 0.283
-1.753 -2.157 11.705
Pm Tm Y
4 2 5
direct
0.025 0.686 0.051 Pm
0.629 0.534 0.259 Pm
0.975 0.314 0.949 Pm
0.371 0.466 0.741 Pm
0.899 0.799 0.798 Tm
0.101 0.201 0.202 Tm
0.768 0.677 0.535 Y
0.173 0.900 0.347 Y
0.232 0.323 0.465 Y
0.827 0.100 0.653 Y
0.500 0.000 0.000 Y
```

Calculated values
Its total energy is -5.2614 eV per atom. The crystal system is monoclinic.
└──
The design process
Once a master facility plan is developed more detailed design process can start
1. Conceptual design: high level design ideas, department locations, general operational flow are tested
2. Schematic design: illustrations help understand in more detail the work flow and efficiency of a layout.
3. Design development: the architectural details and speciality systems (conveyer belts, tube systems) are added; ass well as what people more typically think of in ‘architecture and interior design’ such as finishes.
4. Construction documents: this focuses more heavily on building’s systems, such as “mechanical, electrical, plumbing, and structural”
“The design team includes not only architects and engineers (civil, structural mechanical, electrical, and plumbing), but also other professional consultants who bring expertise to the project. These consultants often include the following: geotechnical codes and Americans with Disabilities Act (ADA) compliance, sustainability, traffic and parking, elevator, medical equipment planner, signage and way-finding, building skin, acoustics, and lighting”